# Request
Count the lines further below that contain the word "gap" and give the number alone.

# Material
=====
A gas-phase ion, C4H2IO3 (charge -1) at a distorted geometry. Source: OMol25; level of theory: ωB97M-V/def2-TZVPD.

SMILES = O=C/C(I)=C\C(=O)[O-]
gap between HOMO and LUMO = 7.84 eV
total charge = -1
spin multiplicity = 1
LUMO level = 2.8 eV

Structure (XYZ):
```
10
C4H2IO3 ωB97M-V/def2-TZVPD
O 1.538 -2.323 0.139
C 0.670 -1.485 0.107
C 0.868 -0.052 -0.016
I 3.022 0.413 -0.030
C -0.033 0.907 -0.110
C -1.647 0.788 -0.029
O -2.112 -0.313 -0.296
O -2.160 1.858 0.291
H -0.407 -1.734 0.159
H 0.260 1.942 -0.213
```

Atom charges from the Mulliken analysis, given in e for atoms 1 to 6: O -0.53; C 0.22; C -0.13; I -0.09; C -0.31; C 0.47

2 unconnected molecules or ions with the total composition C4H2IPS at a distorted geometry. Source: OMol25; level of theory: ωB97M-V/def2-TZVPD.

gap between HOMO and LUMO (spin up / spin down) = 7.28 / 6.25 eV
total charge = 0
spin multiplicity = 3
LUMO level (spin up / spin down) = -0.7 / -2.6 eV

Structure (XYZ):
```
9
C4H2IPS ωB97M-V/def2-TZVPD
C 1.767 -0.642 -1.350
C -0.516 1.564 1.647
C 0.786 0.124 -1.214
C -0.760 1.588 0.447
P -0.595 1.243 -1.306
S -2.022 -1.807 -0.600
I -0.625 -2.427 1.165
H 2.215 -1.580 -1.433
H -0.250 1.938 2.645
```

Atom charges from the Mulliken analysis, given in e for atoms 1 to 6: C 0.02; C -0.01; C -0.40; C -0.32; P 0.01; S -0.17

A molecular structure, C4H2KO4 at a distorted geometry. Source: OMol25; level of theory: ωB97M-V/def2-TZVPD.

gap between HOMO and LUMO (spin up / spin down) = 6.62 / 6.43 eV
total charge = 0
spin multiplicity = 2
LUMO level (spin up / spin down) = -0.9 / -0.9 eV

Structure (XYZ):
```
11
C4H2KO4 ωB97M-V/def2-TZVPD
C -0.888 -0.630 -0.482
C -1.116 0.849 -0.253
O -2.684 0.457 -0.483
C -2.210 -0.808 -0.557
O 0.209 -1.396 -0.248
H -0.871 1.524 -1.082
H -1.120 1.252 0.766
C 1.312 -0.758 0.261
O 1.198 0.477 0.497
O 2.368 -1.407 0.241
K 3.803 0.441 1.340
```

Atom charges from the Mulliken analysis, given in e for atoms 1 to 6: C 0.45; C -0.12; O -0.38; C -0.19; O -0.40; H 0.21

C4H2N2O in the gas phase at a distorted geometry. Source: OMol25; level of theory: ωB97M-V/def2-TZVPD.

SMILES = N#CC#CC(N)=O
gap between HOMO and LUMO = 10.45 eV
total charge = 0
spin multiplicity = 1
LUMO level = -0.4 eV

Structure (XYZ):
```
9
C4H2N2O ωB97M-V/def2-TZVPD
N -0.854 -2.712 0.742
C -0.873 -2.286 -0.335
C -0.690 -1.256 -1.255
C -0.286 -0.141 -0.996
C 0.291 1.099 -0.487
N 0.542 1.076 0.852
O 0.530 2.026 -1.228
H 0.334 0.305 1.473
H 1.007 1.887 1.233
```

Atom charges from the Mulliken analysis, given in e for atoms 1 to 6: N -0.39; C 0.45; C -0.14; C 0.17; C 0.34; N -0.36

C4H2N2O in the gas phase at a distorted geometry. Source: OMol25; level of theory: ωB97M-V/def2-TZVPD.

SMILES = C#Cc1cnno1
gap between HOMO and LUMO = 9.95 eV
total charge = 0
spin multiplicity = 1
LUMO level = 0.0 eV

Structure (XYZ):
```
9
C4H2N2O ωB97M-V/def2-TZVPD
C -0.390 0.121 2.459
C -0.198 0.148 1.265
C 0.021 0.119 -0.143
C -0.597 -0.326 -1.297
N 0.394 -0.303 -2.235
N 1.492 0.210 -1.735
O 1.331 0.450 -0.474
H -0.436 0.341 3.495
H -1.618 -0.760 -1.333
```

Atom charges from the Mulliken analysis, given in e for atoms 1 to 6: C 0.10; C -0.58; C 0.38; C -0.24; N -0.33; N -0.10

C4H2N2O2P2 in the gas phase at a distorted geometry. Source: OMol25; level of theory: ωB97M-V/def2-TZVPD.

SMILES = O=P1=P(=O)c2nccnc21
gap between HOMO and LUMO (spin up / spin down) = 6.55 / 6.55 eV
total charge = 0
spin multiplicity = 1
LUMO level (spin up / spin down) = -2.2 / -2.2 eV

Structure (XYZ):
```
12
C4H2N2O2P2 ωB97M-V/def2-TZVPD
O 2.982 -1.758 0.374
P 2.297 -0.804 -0.513
P 2.041 1.670 0.045
O 2.668 1.951 1.285
C 0.267 0.898 0.205
N -0.912 1.273 0.242
C -1.945 0.340 0.137
C -1.789 -0.912 -0.392
N -0.544 -1.368 -0.701
C 0.513 -0.830 -0.340
H -2.867 0.862 0.449
H -2.710 -1.322 -0.791
```

Atom charges from the Mulliken analysis, given in e for atoms 1 to 6: O -0.47; P 0.25; P 0.21; O -0.41; C 0.32; N -0.41
=====

# Completed
6